My wife CHEATED on me with this little shit!

My wife CHEATED on me with this little shit!

He manipulated her and tricked her into sleeping with him. I do not blame her AT ALL, if you knew him in real life, you'd understand what I'm talking about.

I just need somebody to talk to about this.

My wife and I want to take him down, and I told her I'd take care of it… The most we can do is troll his YouTube channel because it's a public platform.

Please back me on this shit… Please take me seriously…

Other urls found in this thread:

>>>Holla Forums
Or simply fuck off


kill her, kill him, kill self

So youre saying you got cucked by the real life Dale Gribble, hes a bounty hunter you know.

Loving every laugh.

How do you get tricked into sleeping with someone? Did he disguise himself as a bed, then she just laid on top of him? If you had any self respect you'd ditch the girl, and move on with your life.



Not just him. I fucked you're waifu.

Someone pasted records of molecules at this point.
Entry 1:
Here is a molecular structure, C35H26Br3N6O4Ti at a distorted geometry from the OMol25 dataset. Energies are from ωB97M-V/def2-TZVPD.

Computed properties:
Orbital gap = 7.66 eV
ΔE to the lowest compared entry with this formula, charge and spin = 118.57 kJ/mol
Total charge = +1

```
75
Properties=species:S:1:pos:R:3:forces:R:3
Ti 0.7248 0.0325 0.4929 0.04 0.91 0.78
O 1.4923 -2.4003 -2.1698 0.17 0.10 -0.19
C 0.9702 -1.3275 -2.0592 0.12 0.01 -0.15
N 1.5261 -0.2950 -1.2384 0.16 -0.24 -0.35
C 2.7938 0.1592 -1.5437 -0.08 -0.05 -0.02
O 3.4118 -0.0630 -2.5553 0.01 -0.02 -0.02
C 3.3581 1.0317 -0.4510 0.02 -0.04 -0.09
C 4.6514 1.5049 -0.5232 0.02 0.06 0.02
C 5.1264 2.2688 0.5317 -0.02 -0.01 -0.01
C 4.2827 2.5343 1.6001 0.02 0.02 -0.01
C 2.9982 2.0222 1.5859 -0.08 0.03 0.02
N 2.5415 1.2814 0.5773 0.40 0.03 -0.15
C -0.3422 -1.0219 -2.7226 0.00 -0.03 0.07
C -0.8266 -1.9132 -3.6706 -0.05 -0.03 0.04
C -2.0572 -1.6457 -4.2456 0.00 0.00 0.01
C -2.7460 -0.5098 -3.8479 0.00 0.00 -0.01
C -2.1726 0.3136 -2.8897 -0.01 0.00 -0.03
N -0.9917 0.0705 -2.3321 0.03 0.08 -0.01
H 5.2479 1.2554 -1.3892 0.01 0.00 0.01
H 6.1395 2.6474 0.5246 0.00 0.00 0.00
H 4.6139 3.1209 2.4449 0.00 0.01 0.00
H 2.3138 2.1908 2.4066 0.00 -0.03 0.01
H -0.2457 -2.7874 -3.9271 0.01 0.00 0.00
H -2.4726 -2.3122 -4.9896 0.00 0.00 -0.01
H -3.7083 -0.2606 -4.2735 -0.01 0.00 0.01
H -2.6890 1.2070 -2.5534 0.00 0.01 0.00
C -0.7560 1.6179 4.2850 -0.02 0.02 0.01
C -0.8345 1.5940 2.7932 0.11 0.02 0.05
O 0.0765 1.0486 2.1297 -0.09 0.06 0.10
N -1.8682 2.1483 2.1899 -0.04 0.01 -0.03
C -2.0592 2.0593 0.7408 0.05 0.02 0.03
C -1.0808 2.8783 -0.0584 0.02 0.03 -0.01
C -1.4121 4.1723 -0.4332 -0.03 -0.02 -0.03
C -0.5551 4.8878 -1.2507 0.02 0.00 -0.01
C 0.6000 4.2653 -1.6864 -0.02 0.02 -0.02
C 0.8620 2.9777 -1.2552 0.03 -0.08 -0.01
N 0.0646 2.2905 -0.4359 -0.19 -0.06 0.08
H -0.9818 0.6163 4.6552 0.00 0.00 -0.01
H -1.4557 2.3238 4.7269 0.00 -0.01 0.01
H 0.2596 1.8622 4.5892 0.00 0.01 0.00
H -2.5789 2.5812 2.7570 0.01 -0.01 0.00
H -3.0703 2.4065 0.5371 0.00 0.02 0.01
H -2.0215 1.0098 0.4418 -0.02 0.00 0.00
H -2.3483 4.6018 -0.1009 0.00 0.00 0.00
H -0.7947 5.8968 -1.5583 0.00 0.00 0.00
H 1.2912 4.7576 -2.3554 0.01 -0.01 0.00
H 1.7521 2.4748 -1.6024 0.00 0.00 0.01
Br 0.8449 -3.9942 0.4408 -0.08 -0.05 0.11
C -0.8562 -3.4773 -0.1519 0.10 -0.15 -0.02
C -1.6365 -4.4691 -0.7889 0.00 0.03 0.01
C -2.8967 -4.1918 -1.2104 0.02 0.03 -0.01
Br -3.8681 -5.5324 -2.1159 -0.02 -0.01 -0.01
C -3.4795 -2.9206 -0.9625 -0.01 -0.04 0.00
C -4.8124 -2.5885 -1.2858 0.02 -0.04 -0.03
C -5.2988 -1.3565 -0.9633 0.01 0.04 0.03
C -4.4400 -0.4515 -0.3148 -0.02 0.00 -0.02
N -3.1939 -0.7119 -0.0149 0.04 -0.04 -0.01
C -2.6925 -1.9306 -0.3310 -0.05 0.03 0.04
C -1.3311 -2.2049 0.0175 -0.04 0.24 -0.03
O -0.5624 -1.1819 0.4556 -0.58 -0.80 -0.27
H -1.2032 -5.4458 -0.9471 0.00 -0.01 0.01
H -5.4353 -3.3239 -1.7759 0.00 0.00 0.00
H -6.3196 -1.0773 -1.1827 0.00 0.01 -0.01
H -4.8089 0.5326 -0.0374 -0.01 0.00 0.00
Br 5.1342 -3.3250 4.4104 0.00 -0.01 0.00
Back to the page.

What are they sliding this time

'''
Model A:
84
Properties=species:S:1:pos:R:3 method="wB97M-V/def2-TZVPD" mol_weight_g_mol=692.74 homo_lumo_gap_ev="1.548 / 1.469" spin_multiplicity=3 total_charge=+1
Pt 3.9277 2.1714 7.5899
C 1.5341 -0.4401 0.7955
C 1.9000 0.8006 1.5577
C 1.0016 2.0181 1.2588
O 2.1528 0.5558 2.9184
H 2.2631 -1.2489 0.8458
H 1.3959 -0.2334 -0.2658
H 0.6029 -0.8465 1.1902
H 2.8279 1.2510 1.2052
H 1.0910 2.3600 0.2277
H 1.4286 2.8226 1.8576
H -0.0139 1.6987 1.4931
C 3.1901 -6.5115 -4.1795
O 4.1640 -6.6834 -4.8787
N 2.0398 -7.2106 -4.2363
C 0.8536 -6.9613 -3.4145
C 1.8561 -8.1664 -5.2946
H 3.0827 -5.7360 -3.4054
H 0.1719 -7.7224 -3.0350
H 0.0476 -6.5620 -4.0302
H 0.9359 -6.1345 -2.7090
H 2.7786 -8.4751 -5.7864
H 1.3788 -9.0149 -4.8043
H 1.2046 -7.7217 -6.0469
C 4.6252 7.7242 3.3670
O 4.8369 6.6409 3.9881
N 4.9977 7.8658 2.0904
C 4.5109 8.8901 1.2196
C 5.7871 6.8807 1.3283
H 3.9491 8.5141 3.7292
H 3.8162 9.6029 1.6639
H 4.0021 8.3609 0.4139
H 5.3977 9.3172 0.7512
H 6.6764 7.2936 0.8522
H 6.1931 6.2480 2.1177
H 5.1570 6.3237 0.6349
C -3.0837 1.4283 -4.6266
O -2.7642 2.5772 -4.8096
N -4.1699 1.0005 -3.8774
C -4.2776 -0.4828 -3.8021
C -5.0755 1.7719 -3.0939
H -2.5636 0.5218 -4.9729
H -4.2289 -0.7726 -2.7525
H -3.5794 -1.0558 -4.4122
H -5.2473 -0.8931 -4.0839
H -5.4862 2.5417 -3.7472
H -5.9155 1.1495 -2.7856
H -4.4776 2.1927 -2.2854
C 0.4335 -5.8822 5.7082
O 0.8333 -6.9798 5.2057
N -0.6923 -5.7674 6.3459
C -1.2720 -4.4051 6.6752
C -1.6259 -6.8794 6.6626
H 1.0941 -5.0080 5.6012
H -1.9094 -3.9703 5.9054
H -0.4766 -3.6639 6.7522
H -1.8406 -4.3624 7.6042
H -2.6062 -6.6181 6.2640
H -1.3235 -7.7388 6.0641
H -1.5927 -7.0237 7.7425
C -8.5520 3.3662 4.2783
O -7.9616 3.7057 3.2471
N -8.2606 2.3848 5.1539
C -9.1104 2.2469 6.3494
C -7.1403 1.3907 5.0431
H -9.4183 3.9719 4.5865
H -9.9985 2.8704 6.4521
H -8.6021 2.4366 7.2949
H -9.4307 1.2077 6.4239
H -7.5105 0.3717 4.9303
H -6.5603 1.4918 4.1258
H -6.4579 1.4396 5.8917
C 4.7735 -0.0779 -8.0963
O 4.3534 -0.0143 -9.2261
N 4.9023 0.9889 -7.2815
C 5.4453 0.8626 -5.9039
C 4.5073 2.3564 -7.6931
H 5.2593 -0.9852 -7.7053
H 6.1196 0.0066 -5.9281
H 4.6192 0.6215 -5.2349
H 5.8475 1.8332 -5.6137
H 4.2489 2.2808 -8.7493
H 3.7152 2.7958 -7.0868
H 5.2947 3.0963 -7.5497

Model B:
84
Properties=species:S:1:pos:R:3 method="wB97M-V/def2-TZVPD" mol_weight_g_mol=692.74 homo_lumo_gap_ev="6.219 / 4.991" spin_multiplicity=3 total_charge=+1
Pt 4.5760 0.5706 -0.5133
C 0.1360 0.9999 1.1003
C 1.4486 0.2877 1.0668
C 1.1634 -1.2091 0.7768
O 2.3582 0.9428 0.1794
H -0.3632 0.7909 0.1542
H 0.1715 2.0634 1.3365
H -0.4896 0.5600 1.8770
H 1.8667 0.2356 2.0720
H 0.3381 -1.5677 1.3919
H 2.0736 -1.8027 0.6917
H 0.7426 -1.2710 -0.2268
C -2.1233 1.1526 -2.7564
O -1.8894 0.8002 -3.9303
N -2.9139 2.2236 -2.4544
C -2.9195 2.8140 -1.1451
C -3.5118 2.9962 -3.5409
H -1.6578 0.7928 -1.8258
H -2.3512 2.1287 -0.5161
H -3.9516 2.8568 -0.7973
H -2.3628 3.7498 -1.1948
H -3.5367 2.5514 -4.5358
H -4.5051 3.2387 -3.1633
H -2.9286 3.8965 -3.7343
C -4.2838 0.3834 2.1036
'''

Holy shit a literal cuckold.
What have we memed??

Yeah. Just saw the same thread copy-pasted on Holla Forums's catalog. Gone now.


i watched some of your videos. you're not funny. keep shitting on other youtubers, that's fine. stay in your fucking lane though and off my board.

This has taken a toll on me… Please you guy's… Stop laughing, stop trying to banish me…

list popular Christmas toys on craigslist in the nearest big city
im sure your right hand still has his phone number and address
find his oma and return the favor
don't forget to sage and report shit threads that made it past autoprune

Leftypol LARPing as a literal cuck? Oh wait they don't LARP.

Seems like an okay dude, if you're into moonshine and methamphetamines

Divorce her.

So, she tripped, and fell onto his cock?

Then you don't blame her at all…(insert ridiculous emoji face) Man up, because now you've cucked, and she'll do it again. You know you can't trust her now, for sure. The fuck is wrong with you?

Today I'll remind them

I guess you guys don't keep up. This is a new pasta. The joke is the image doesn't matter- just replace it with another one and spam a board. Sage & report.

Do pic related before I dox you and ruin your life instead

My wife CHEATED on me with this little shit!

He manipulated her and tricked her into sleeping with him. I do not blame her AT ALL, if you knew him in real life, you'd understand what I'm talking about.

I just need somebody to talk to about this.

My wife and I want to take him down, and I told her I'd take care of it… The most we can do is troll his YouTube channel because it's a public platform.

Please back me on this shit… Please take me seriously…

No effort, no creativity, shit formatting. All in all you get 0/10, you fucking failure.

damn tripsman calm down

My wife CHEATED on me with this little shit!
He manipulated her and tricked her into sleeping with him. I do not blame her AT ALL, if you knew him in real life, you'd understand what I'm talking about.
I just need somebody to talk to about this.
My wife and I want to take him down, and I told her I'd take care of it… The most we can do is troll his YouTube channel because it's a public platform.
Please back me on this shit… Please take me seriously…

My wife CHEATED on me with this little shit!
He manipulated her and tricked her into sleeping with him. I do not blame her AT ALL, if you knew him in real life, you'd understand what I'm talking about.
I just need somebody to talk to about this.
My wife and I want to take him down, and I told her I'd take care of it… The most we can do is troll his YouTube channel because it's a public platform.
Please back me on this shit…Please take me seriously…

The fuck is this D&C bullshit, we ain't your private army bro… Too fucking bad you couldn't keep your wife in line, now sage off…

Hello Moshe.

My wife CHEATED on me with this little shit!

He manipulated her and tricked her into sleeping with him. I do not blame her AT ALL, if you knew him in real life, you'd understand what I'm talking about.

I just need somebody to talk to about this.

My wife and I want to take him down, and I told her I'd take care of it… The most we can do is troll his YouTube channel because it's a public platform.

Please back me on this shit… Please take me seriously…



My wife CHEATED on me with this little shit!

He manipulated her and tricked her into sleeping with him. I do not blame her AT ALL, if you knew him in real life, you'd understand what I'm talking about.

I just need somebody to talk to about this.

My wife and I want to take him down, and I told her I'd take care of it… The most we can do is troll his YouTube channel because it's a public platform.

Please back me on this shit… Please take me seriously…

My wife CHEATED on me with this little shit!
He manipulated her and tricked her into sleeping with him. I do not blame her AT ALL, if you knew him in real life, you'd understand what I'm talking about.
I just need somebody to talk to about this.
My wife and I want to take him down, and I told her I'd take care of it… The most we can do is troll his YouTube channel because it's a public platform.
Please back me on this shit… Please take me seriously….


Kill him, then your wife, then your self.

That pic is too good. I can imagine Hitler in an emo/screamo band, he'd slay.